Q. 5.  Define an operon, giving an example, explain an inducible operon.


The concept of the operon was first proposed in 1961, by Jacob and Monad. An operon is a unit of prokaryotic gene expression which includes coordinately regulated (structural) genes and control elements which are recognised by regulatory gene product.

Components of an Operon

(i) Structural gene The fragment of DNA which transcribes mRNA for polypeptide synthesis.

(ii) Promoter The sequence of DNA where RNA polymerase binds and initiates transcription of structural genes is called the promoter.

(iii) Operator The sequence of DNA adjacent to promoter where specific repressor protein binds is called the operator.

(iv) Regular gene The gene that codes for the repressor protein that binds to the operator and suppresses its activity as a result of which transcription will be switched off.

(v) Inducer The substrate that prevents the repressor from binding to the operator, is called an inducer. Asa result transcription is switched on. It is a chemical of diverse nature like metabolite, hormone substrate, etc,

# Attached: calculated crystals
- - -
(1)
Material: CePuGe2Ru
Method: DFT, PBE
State: relaxed

Computed properties:
Space group   I-4m2, No. 119
DFT formation energy   -0.422 eV/atom

Cell: 6.9506 6.9506 6.9506 Å, 145.64 145.64 49.38°
Fractional positions:
Ce: 0.0000 0.0000 0.0000
Pu: 0.2500 0.7500 0.5000
Ge: 0.4027 0.4027 0.0000
Ge: 0.5973 0.5973 0.0000
Ru: 0.7500 0.2500 0.5000



(2)
Material: BeSb2TeRh
Method: DFT, PBE
State: relaxed

Computed properties:
Distance to the lowest polymorph of the same formula   0 meV/atom
Formation energy (no corrections)   678 meV per atom
Space group   P4/mmm, No. 123

Cell: 4.7207 4.7207 4.9650 Å, 90.00 90.00 90.00°
Fractional positions:
Be: 0.0000 0.0000 0.0000
Sb: 0.0000 0.5000 0.0000
- - -

Inducible Operon System

An inducible operon system is a regulated unit of genetic material which is switched on in response to the presence of a chemical. e.g., the lactose or lac-operon of E.coli.

The lactose operon The lac z, y, genes are transcribed from a lac transcription unit under the control of a single promoter. They encode the enzyme required for the use of lactose as a carbon source. The lac i gene product, the lac repressor, is expressed from a separate transcription unit upstream from the operator.

lac operon consists of three structural genes (z, y and a), operator, promoter and a separate regulatory gene.

The three structural genes (a, y and a) transcribe a polycistronic mRNA.

Gene z codes for β-galactosidase (β-gal) enzyme which breaks lactose into galactose and glucose.

Gene y codes for permease, which increases the permeability of the cell to lactose.

Gene codes for enzyme transacetylase, which catalyses the transacetylase, which catalyses the transacetylation or lactose in its active form.

When Lactose is Absent

........
Density functional theory data (GGA-PBE) for crystalline La7Nd2Er3 at its relaxed geometry.

Output
**Crystal system**: monoclinic
**ΔE_f**: 58.3 meV per atom
**Electronic total energy**: -4.751 eV per atom
**Space-group type**: No. 10
**Density**: 7.0 Mg/m³

a b c (Å): 6.559 3.601 17.841
angles (deg): 90.00 95.50 90.00
Sites, in units of the cell vectors:
La 0.000 0.000 0.000
La 0.229 0.500 0.172
La 0.262 0.500 0.491
La 0.282 0.000 0.835
La 0.718 0.000 0.165
La 0.738 0.500 0.509
La 0.771 0.500 0.828
Nd 0.060 0.500 0.670
Nd 0.940 0.500 0.330
Er 0.457 0.000 0.338
Er 0.500 0.500 0.000
Er 0.543 0.000 0.662

Density functional theory data (GGA-PBE) for crystalline Tm4Ni2N at its relaxed geometry.

Output
**Formation energy (no corrections)**: -0.599 eV/atom
**Crystal system**: tetragonal
**Electronic total energy**: -5.996 eV per atom
**Space-group type**: No. 139
**Density**: 9.5 Mg/m³

a b c (Å): 4.572 4.572 13.503
angles (deg): 90.00 90.00 90.00
Sites, in units of the cell vectors:
Tm 0.000 0.000 0.181
Tm 0.000 0.000 0.819
Tm 0.000 0.500 0.000
Tm 0.000 0.500 0.500
Tm 0.500 0.000 0.000
Tm 0.500 0.000 0.500
Tm 0.500 0.500 0.319
Tm 0.500 0.500 0.681
Ni 0.000 0.000 0.375
Ni 0.000 0.000 0.625
Ni 0.500 0.500 0.125
Ni 0.500 0.500 0.875
N 0.000 0.000 0.000
N 0.500 0.500 0.500

Density functional theory data (GGA-PBE) for crystalline BaCdTe2 at its relaxed geometry.

Output
**Formation energy (no corrections)**: -0.996 eV/atom
**Crystal system**: tetragonal
**Electronic total energy**: -3.277 eV per atom
**Space-group type**: No. 122
**Density**: 5.4 Mg/m³

a b c (Å): 8.282 8.282 9.122
angles (deg): 90.00 90.00 90.00
Sites, in units of the cell vectors:
Ba 0.000 0.000 0.000
Ba 0.000 0.500 0.250
Ba 0.500 0.000 0.750
Ba 0.500 0.500 0.500
Cd 0.000 0.000 0.500
Cd 0.000 0.500 0.750
Cd 0.500 0.000 0.250
Cd 0.500 0.500 0.000
Te 0.193 0.750 0.625
Te 0.250 0.193 0.375
Te 0.250 0.307 0.875
Te 0.307 0.750 0.125
Te 0.693 0.250 0.125
Te 0.750 0.693 0.875
Te 0.750 0.807 0.375
Te 0.807 0.250 0.625

Density functional theory data (GGA-PBE) for crystalline K3Te at its relaxed geometry.

Output
**Formation energy (no corrections)**: -0.574 eV/atom
**Crystal system**: tetragonal
**Offset from the most stable computed form**: 6.7 kJ per mole of atoms
**Electronic total energy**: -2.182 eV per atom
**Space-group type**: No. 123
**Density**: 2.2 Mg/m³

a b c (Å): 4.699 4.699 8.465
angles (deg): 90.00 90.00 90.00
Sites, in units of the cell vectors:
K 0.000 0.000 0.000
K 0.500 0.500 0.317
K 0.500 0.500 0.683
Te 0.000 0.000 0.500

Density functional theory data (GGA-PBE) for crystalline Dy2AlSi4Pt3 at its relaxed geometry.

Output
**Formation energy (no corrections)**: -1.000 eV/atom
**Crystal system**: tetragonal
**Electronic total energy**: -6.276 eV per atom
**Space-group type**: No. 115
**Density**: 10.0 Mg/m³

a b c (Å): 4.066 4.066 10.505
angles (deg): 90.00 90.00 90.00
Sites, in units of the cell vectors:
Dy 0.000 0.500 0.249
Dy 0.500 0.000 0.751
Al 0.500 0.500 0.000
........
## So much for the materials data

(i) When lactose is absent, i gene regulates and produces a repressor mRNA which translates repression.

(ii) The repressor protein binds to the operator region of the operon and as a result prevents RNA polymerase to bind to the operon.

(iii) The operon is switched off.

When Lactose is Present

(i) Lactose acts as an inducer which binds to the repressor and forms an inactive repressor.

(ii) The repressor fails to bind to the operator region.

(iii) The RNA polymerase binds to the operator and transcript lac mRNA.

(iv) lac mRNA is polycistronic, i.e., produces all three enzymes, β-galactosidase, permease and transacetylase.

(v) The lac operon is switched on.